### Request
Your job: quote everything further below unchanged.
### File
<<<
Entry 1:
Li2BiF: optimized geometry, PBE.

theoretical density: 6.027 g cm⁻³
ΔE_f (raw): -1.5162 eV per atom
offset from the most stable computed form: 0.0 meV/atom
space group: R-3m, No. 166

POSCAR file:
```
Li2BiF
1.0
3.321 0.000 0.000
1.660 2.876 0.000
1.660 0.959 6.978
Li F Bi
2 1 1
direct
0.281 0.281 0.158
0.719 0.719 0.842
0.000 0.000 0.000
0.500 0.500 0.500
```

***

Entry 2:
Be2CdMo: optimized geometry, PBE.

theoretical density: 7.173 g cm⁻³
uncorrected energy: -18.29 eV for the cell shown
space group: P4/mmm, No. 123

POSCAR file:
```
Be2CdMo
1.0
3.943 0.000 0.000
0.000 3.943 0.000
0.000 0.000 3.371
Be Mo Cd
2 1 1
direct
0.000 0.000 0.000
0.500 0.500 0.000
0.000 0.500 0.500
0.500 0.000 0.500
```

***

Entry 3:
Na2UReO6: optimized geometry, PBE.

theoretical density: 6.849 g cm⁻³
ΔE_f (raw): -2.1540 eV per atom
space group: P4mm, No. 99

POSCAR file:
```
Na2UReO6
1.0
4.071 0.000 0.000
0.000 5.807 0.000
0.000 0.000 5.807
Re Na O U
1 2 6 1
direct
0.646 0.000 0.000
0.140 0.000 0.500
0.140 0.500 0.000
0.646 0.758 0.242
0.646 0.242 0.242
0.145 0.500 0.500
0.146 0.000 0.000
0.646 0.242 0.758
0.646 0.758 0.758
0.645 0.500 0.500
```

***

Entry 4:
Tl4BiH3Pd12: optimized geometry, PBE.

theoretical density: 11.606 g cm⁻³
uncorrected energy: -86.90 eV for the cell shown
space group: Im-3m, No. 229

POSCAR file:
```
Tl4BiH3Pd12
1.0
7.540 0.000 0.000
-2.513 7.109 0.000
-2.513 -3.555 6.157
Pd H Tl Bi
12 3 4 1
direct
0.703 0.000 0.703
0.000 0.297 0.297
0.500 0.750 0.250
0.750 0.250 0.500
0.297 0.297 0.000
0.500 0.250 0.750
0.297 0.000 0.297
0.703 0.703 0.000
0.000 0.703 0.703
0.250 0.750 0.500
0.250 0.500 0.750
0.750 0.500 0.250
0.500 0.500 0.000
0.000 0.500 0.500
0.500 0.000 0.500
0.500 0.500 0.500
0.500 0.000 0.000
0.000 0.500 0.000
0.000 0.000 0.500
0.000 0.000 0.000
```

* * * * *

[1]
{"formula": "LaNiSb2", "functional": "PBE", "state": "optimized geometry", "lattice_angstrom": [[5.3247, 0.0000, 0.0000], [0.0000, 5.3247, 0.0000], [2.6624, 2.6624, 8.2636]], "species": ["Sb", "Sb", "Sb", "Sb", "La", "La", "Ni", "Ni"], "fractional_positions": [[0.3750, 0.5110, 0.7500], [0.4890, 0.1250, 0.2500], [0.8750, 0.7390, 0.7500], [0.2610, 0.6250, 0.2500], [0.0000, 0.0000, 0.0000], [0.7500, 0.2500, 0.5000], [0.2500, 0.7500, 0.5000], [0.5000, 0.5000, 0.0000]], "sg": "I-42d, No. 122"}

***

[2]
{"formula": "LaNiSb2", "functional": "PBE", "state": "optimized geometry", "lattice_angstrom": [[5.9499, 0.0371, 0.0169], [2.1108, 5.5630, -0.0169], [-3.1287, -4.0979, 2.9701]], "species": ["Sb", "Sb", "La", "Ni"], "fractional_positions": [[0.9437, 0.9437, 0.0000], [0.5563, 0.5563, 0.0000], [0.2500, 0.7500, 0.5000], [0.7500, 0.2500, 0.5000]], "sg": "Immm, No. 71"}

***

[3]
{"formula": "La2Ni2Sb", "functional": "PBE", "state": "optimized geometry", "lattice_angstrom": [[-2.4609, 2.4780, -1.2904], [-2.7118, -1.7048, 1.8978], [-1.0334, 5.4556, 7.0762]], "species": ["Ni", "Ni", "La", "La", "Sb"], "fractional_positions": [[0.2500, 0.7500, 0.5000], [0.7500, 0.2500, 0.5000], [0.6252, 0.6252, 0.7496], [0.3748, 0.3748, 0.2504], [0.0000, 0.0000, 0.0000]], "polymorph_energy_mev_per_atom": 214, "sg": "I4/mmm, No. 139"}

***

What did we get for energy relative to the elements, uncorrected? Answer: -1.38 -1.48 -2.11 eV per formula unit, in the order shown.
What did we get for energy? Answer: -5.0842 -5.1088 -5.5303 eV per atom, in the order shown.

* * * * *

# 1
First-principles (PBE) data for a relaxed AlFe2Re crystal, as listed in Alexandria via LeMat-Bulk.

Properties
SG: Pmm2 (25)

Lattice parameters (Å, degrees): 2.676 3.653 5.256 90.00 90.00 90.00
Sites, in units of the cell vectors:
Al  0.000  0.000  0.000
Fe  0.000  0.000  0.488
Fe  0.500  0.500  0.229
Re  0.500  0.500  0.710

# 2
First-principles (PBE) data for a relaxed AlFe2Re crystal, as listed in Alexandria via LeMat-Bulk.

Properties
SG: Cmmm (65)

Lattice parameters (Å, degrees): 4.188 4.188 2.832 90.00 90.00 92.82
Sites, in units of the cell vectors:
Al  0.000  0.000  0.000
>>>
### Response
Entry 1:
Li2BiF: optimized geometry, PBE.

theoretical density: 6.027 g cm⁻³
ΔE_f (raw): -1.5162 eV per atom
offset from the most stable computed form: 0.0 meV/atom
space group: R-3m, No. 166

POSCAR file:
```
Li2BiF
1.0
3.321 0.000 0.000
1.660 2.876 0.000
1.660 0.959 6.978
Li F Bi
2 1 1
direct
0.281 0.281 0.158
0.719 0.719 0.842
0.000 0.000 0.000
0.500 0.500 0.500
```

***

Entry 2:
Be2CdMo: optimized geometry, PBE.

theoretical density: 7.173 g cm⁻³
uncorrected energy: -18.29 eV for the cell shown
space group: P4/mmm, No. 123

POSCAR file:
```
Be2CdMo
1.0
3.943 0.000 0.000
0.000 3.943 0.000
0.000 0.000 3.371
Be Mo Cd
2 1 1
direct
0.000 0.000 0.000
0.500 0.500 0.000
0.000 0.500 0.500
0.500 0.000 0.500
```

***

Entry 3:
Na2UReO6: optimized geometry, PBE.

theoretical density: 6.849 g cm⁻³
ΔE_f (raw): -2.1540 eV per atom
space group: P4mm, No. 99

POSCAR file:
```
Na2UReO6
1.0
4.071 0.000 0.000
0.000 5.807 0.000
0.000 0.000 5.807
Re Na O U
1 2 6 1
direct
0.646 0.000 0.000
0.140 0.000 0.500
0.140 0.500 0.000
0.646 0.758 0.242
0.646 0.242 0.242
0.145 0.500 0.500
0.146 0.000 0.000
0.646 0.242 0.758
0.646 0.758 0.758
0.645 0.500 0.500
```

***

Entry 4:
Tl4BiH3Pd12: optimized geometry, PBE.

theoretical density: 11.606 g cm⁻³
uncorrected energy: -86.90 eV for the cell shown
space group: Im-3m, No. 229

POSCAR file:
```
Tl4BiH3Pd12
1.0
7.540 0.000 0.000
-2.513 7.109 0.000
-2.513 -3.555 6.157
Pd H Tl Bi
12 3 4 1
direct
0.703 0.000 0.703
0.000 0.297 0.297
0.500 0.750 0.250
0.750 0.250 0.500
0.297 0.297 0.000
0.500 0.250 0.750
0.297 0.000 0.297
0.703 0.703 0.000
0.000 0.703 0.703
0.250 0.750 0.500
0.250 0.500 0.750
0.750 0.500 0.250
0.500 0.500 0.000
0.000 0.500 0.500
0.500 0.000 0.500
0.500 0.500 0.500
0.500 0.000 0.000
0.000 0.500 0.000
0.000 0.000 0.500
0.000 0.000 0.000
```

* * * * *

[1]
{"formula": "LaNiSb2", "functional": "PBE", "state": "optimized geometry", "lattice_angstrom": [[5.3247, 0.0000, 0.0000], [0.0000, 5.3247, 0.0000], [2.6624, 2.6624, 8.2636]], "species": ["Sb", "Sb", "Sb", "Sb", "La", "La", "Ni", "Ni"], "fractional_positions": [[0.3750, 0.5110, 0.7500], [0.4890, 0.1250, 0.2500], [0.8750, 0.7390, 0.7500], [0.2610, 0.6250, 0.2500], [0.0000, 0.0000, 0.0000], [0.7500, 0.2500, 0.5000], [0.2500, 0.7500, 0.5000], [0.5000, 0.5000, 0.0000]], "sg": "I-42d, No. 122"}

***

[2]
{"formula": "LaNiSb2", "functional": "PBE", "state": "optimized geometry", "lattice_angstrom": [[5.9499, 0.0371, 0.0169], [2.1108, 5.5630, -0.0169], [-3.1287, -4.0979, 2.9701]], "species": ["Sb", "Sb", "La", "Ni"], "fractional_positions": [[0.9437, 0.9437, 0.0000], [0.5563, 0.5563, 0.0000], [0.2500, 0.7500, 0.5000], [0.7500, 0.2500, 0.5000]], "sg": "Immm, No. 71"}

***

[3]
{"formula": "La2Ni2Sb", "functional": "PBE", "state": "optimized geometry", "lattice_angstrom": [[-2.4609, 2.4780, -1.2904], [-2.7118, -1.7048, 1.8978], [-1.0334, 5.4556, 7.0762]], "species": ["Ni", "Ni", "La", "La", "Sb"], "fractional_positions": [[0.2500, 0.7500, 0.5000], [0.7500, 0.2500, 0.5000], [0.6252, 0.6252, 0.7496], [0.3748, 0.3748, 0.2504], [0.0000, 0.0000, 0.0000]], "polymorph_energy_mev_per_atom": 214, "sg": "I4/mmm, No. 139"}

***

What did we get for energy relative to the elements, uncorrected? Answer: -1.38 -1.48 -2.11 eV per formula unit, in the order shown.
What did we get for energy? Answer: -5.0842 -5.1088 -5.5303 eV per atom, in the order shown.

* * * * *

# 1
First-principles (PBE) data for a relaxed AlFe2Re crystal, as listed in Alexandria via LeMat-Bulk.

Properties
SG: Pmm2 (25)

Lattice parameters (Å, degrees): 2.676 3.653 5.256 90.00 90.00 90.00
Sites, in units of the cell vectors:
Al  0.000  0.000  0.000
Fe  0.000  0.000  0.488
Fe  0.500  0.500  0.229
Re  0.500  0.500  0.710

# 2
First-principles (PBE) data for a relaxed AlFe2Re crystal, as listed in Alexandria via LeMat-Bulk.

Properties
SG: Cmmm (65)

Lattice parameters (Å, degrees): 4.188 4.188 2.832 90.00 90.00 92.82
Sites, in units of the cell vectors:
Al  0.000  0.000  0.000